The DNSQuestion (dq) object

Apart from the ipfilter()-function, all functions work on a dq (DNSQuestion) object. This object contains details about the current state of the question. This state can be modified from the various hooks.

The DNSQuestion object contains at least the following fields:

Attached: calculated crystals =
- - -
# 1
For VGaPd6, a structure optimized by DFT (GGA-PBE) gives the theoretical powder diffractogram in this record (copper Kα).
Kinematic intensities with the Lorentz-polarization factor, no thermal factor.

Most intense lines, 10 to 90 degrees two-theta, in order of falling intensity:
two_theta	I/Imax
39.97	100
46.49	48
81.76	35
67.86	30
86.25	10
22.76	5
32.41	4
52.37	2
57.81	1
72.60	1
34.44	1
77.22	1

abc: 3.907 3.907 7.813
angles: 90.00 90.00 90.00
Positions (direct):
V  0.000  0.000  0.000
Ga  0.000  0.000  0.500
Pd  0.000  0.500  0.244
Pd  0.000  0.500  0.756
Pd  0.500  0.000  0.244
Pd  0.500  0.000  0.756
Pd  0.500  0.500  0.000
Pd  0.500  0.500  0.500

***

# 2
For LiHo2PtO5, a structure optimized by DFT (GGA-PBE) gives the theoretical powder diffractogram in this record (copper Kα).
Kinematic intensities with the Lorentz-polarization factor, no thermal factor.

Most intense lines, 10 to 90 degrees two-theta, in order of falling intensity:
two_theta	I/Imax
31.65	100
19.38	84
30.87	68
34.62	60
47.05	60
44.22	45
24.78	24
15.29	24
66.55	23
39.34	22
50.82	21
36.71	21

abc: 6.478 6.478 5.793
angles: 90.00 90.00 90.00
Positions (direct):
Li  0.000  0.000  0.000
Li  0.500  0.500  0.000
Ho  0.175  0.325  0.500
Ho  0.325  0.825  0.500
Ho  0.675  0.175  0.500
Ho  0.825  0.675  0.500
Pt  0.000  0.500  0.000
Pt  0.500  0.000  0.000
O  0.000  0.000  0.500
O  0.139  0.639  0.261
O  0.139  0.639  0.739
O  0.361  0.139  0.261
O  0.361  0.139  0.739
O  0.500  0.500  0.500
O  0.639  0.861  0.261
O  0.639  0.861  0.739
O  0.861  0.361  0.261
O  0.861  0.361  0.739

***

# 3
For Ho7Al2Co2, a structure optimized by DFT (GGA-PBE) gives the theoretical powder diffractogram in this record (copper Kα).
Kinematic intensities with the Lorentz-polarization factor, no thermal factor.

Most intense lines, 10 to 90 degrees two-theta, in order of falling intensity:
two_theta	I/Imax
28.54	100
39.09	77
33.17	52
29.86	41
38.21	34
26.15	25
62.03	23
35.23	20
47.39	19
12.99	19
56.46	19
59.07	18

abc: 6.625 6.625 6.815
angles: 90.00 90.00 109.22
Positions (direct):
Ho  0.000  0.000  0.000
Ho  0.000  0.500  0.250
Ho  0.000  0.500  0.750
Ho  0.500  0.000  0.250
Ho  0.500  0.000  0.750
Ho  0.500  0.500  0.243
Ho  0.500  0.500  0.757
Al  0.168  0.168  0.500
Al  0.832  0.832  0.500
Co  0.294  0.706  0.000
Co  0.706  0.294  0.000

***

# 4
For AlTc3B, a structure optimized by DFT (GGA-PBE) gives the theoretical powder diffractogram in this record (copper Kα).
Kinematic intensities with the Lorentz-polarization factor, no thermal factor.

Most intense lines, 10 to 90 degrees two-theta, in order of falling intensity:
two_theta	I/Imax
36.59	100
44.43	60
21.80	43
42.84	26
47.36	22
60.14	17
51.44	16
32.90	16
76.64	15
68.99	14
69.11	13
53.95	11

abc: 6.154 6.154 6.333
angles: 90.00 90.00 120.00
Positions (direct):
Al  0.000  0.000  0.000
Al  0.333  0.667  0.667
Al  0.667  0.333  0.333
Tc  0.191  0.383  0.298
Tc  0.191  0.809  0.298
Tc  0.284  0.142  0.631
Tc  0.525  0.049  0.965
- - -
Here the piece continues =

class DNSQuestion

An object that contains everything about the current query. This object has the following attributes:


New in version 4.5.0.

Whether the response will get EDNS Padding. See edns-padding-from and edns-padding-mode.


New in version 4.5.0.

The extended error code, if any. See extended-resolution-errors.


New in version 4.5.0.

The extended error extra text, as a string, if any. See extended-resolution-errors.


DNSName of the name this query is for.


Type this query is for as an integer, can be compared against pdns.A, pdns.AAAA.


current DNS Result Code, which can be overridden, including to several magical values. Before 4.4.0, the rcode can be set to pdns.DROP to drop the query, for later versions refer to Callback Semantics. Other statuses are normal DNS return codes, like pdns.NOERROR, pdns.NXDOMAIN etc.


Whether the query was received over TCP.


ComboAddress of the requestor. If the proxy protocol is used, this will contain the source address from the proxy protocol header.


ComboAddress where this query was received on. If the proxy protocol is used, this will contain the destination address from the proxy protocol header.


Source ComboAddress of the packet received by the recursor. If the proxy protocol is not used, the value will match remoteaddr.


Destination ComboAddress of the packet received by the recursor. If the proxy protocol is not used, the value will match localaddr.


Boolean which, if set, indicates the recursor should not packet cache this answer. Honored even when returning false from a hook! Important when providing answers that vary over time or based on sender details.


String that signals the nameserver to take one an additional action:

  • followCNAMERecords: When adding a CNAME to the answer, this tells the recursor to follow that CNAME. See CNAME Chain Resolution
  • getFakeAAAARecords: Get a fake AAAA record, see DNS64
  • getFakePTRRecords: Get a fake PTR record, see DNS64
  • udpQueryResponse: Do a UDP query and call a handler, see UDP Query Response

see DNS64


see DNS64


The decision that was made by the policy engine, see Modifying Policy Decisions.


A string with the name of the policy. Set by policyName in the rpzFile() and rpzPrimary() configuration items. It is advised to overwrite this when modifying the DNSQuestion.appliedPolicy.policyKind


The type of match for the policy.

  • pdns.policytypes.None the empty policy type
  • pdns.policytypes.QName a match on qname
  • pdns.policytypes.ClientIP a match on client IP
  • pdns.policytypes.ResponseIP a match on response IP
  • pdns.policytypes.NSDName a match on the name of a nameserver
  • pdns.policytypes.NSIP a match on the IP of a nameserver

The CNAME content for the pdns.policyactions.Custom response, a string


The kind of policy response, there are several policy kinds:

  • pdns.policykinds.Custom will return a NoError, CNAME answer with the value specified in DNSQuestion.appliedPolicy.policyCustom
  • pdns.policykinds.Drop will simply cause the query to be dropped
  • pdns.policykinds.NoAction will continue normal processing of the query
  • pdns.policykinds.NODATA will return a NoError response with no value in the answer section
  • pdns.policykinds.NXDOMAIN will return a response with a NXDomain rcode
  • pdns.policykinds.Truncate will return a NoError, no answer, truncated response over UDP. Normal processing will continue over TCP

The TTL in seconds for the pdns.policyactions.Custom response


The trigger (left-hand) part of the RPZ rule that was matched


The value that was matched. This is a string representing a name or an address.


A boolean that indicates the use of the Policy Engine. Can be set to false in prerpz to disable RPZ for this query.


A Lua object reference that is persistent throughout the lifetime of the DNSQuestion object for a single query. It can be used to store custom data. Most scripts initialise this to an empty table early on so they can store multiple items.


New in version 4.1.0.

A string that will be used to set the requestorId field in protobuf messages.


New in version 4.1.0.

A string that will be used to set the deviceId field in protobuf messages.


New in version 4.3.0.

A string that will be used to set the deviceName field in protobuf messages.


Answer to the udpQuery when using the udpQueryResponse followupFunction. Only filled when the call-back function is invoked.


Destination IP address to send the UDP packet to when using the udpQueryResponse followupFunction


The content of the UDP payload when using the udpQueryResponse followupFunction


The name of the callback function that is called when using the udpQueryResponse followupFunction when an answer is received.


New in version 4.1.0.

The result of the DNSSEC validation, accessible from the postresolve, nxdomain and nodata hooks. Possible states are pdns.validationstates.Indeterminate, pdns.validationstates.Bogus, pdns.validationstates.Insecure and pdns.validationstates.Secure. The result will always be pdns.validationstates.Indeterminate if validation is disabled or was not requested.


New in version 4.4.2.

The result of the DNSSEC validation, accessible from the postresolve, nxdomain and nodata hooks. By contrast with validationState, there are several Bogus states to be able to better understand the reason for a DNSSEC validation failure.

Possible states are:

  • pdns.validationstates.Indeterminate
  • pdns.validationstates.BogusNoValidDNSKEY
  • pdns.validationstates.BogusInvalidDenial
  • pdns.validationstates.BogusUnableToGetDSs
  • pdns.validationstates.BogusUnableToGetDNSKEYs
  • pdns.validationstates.BogusSelfSignedDS
  • pdns.validationstates.BogusNoRRSIG
  • pdns.validationstates.BogusNoValidRRSIG
  • pdns.validationstates.BogusMissingNegativeIndication
  • pdns.validationstates.BogusSignatureNotYetValid
  • pdns.validationstates.BogusSignatureExpired
  • pdns.validationstates.BogusUnsupportedDNSKEYAlgo
  • pdns.validationstates.BogusUnsupportedDSDigestType
  • pdns.validationstates.BogusNoZoneKeyBitSet
  • pdns.validationstates.BogusRevokedDNSKEY
  • pdns.validationstates.BogusInvalidDNSKEYProtocol
  • pdns.validationstates.Insecure
  • pdns.validationstates.Secure

The result will always be pdns.validationstates.Indeterminate is validation is disabled or was not requested. There is a convenience function named isValidationStateBogus that accepts such a state and return a boolean indicating whether this state is a Bogus one.


New in version 4.2.0.

Whether the response to this query will be exported to a remote protobuf logger, if one has been configured.


The packetcache tag set via gettag() or gettag_ffi(). Default tag is zero. Internally to the recursor, the tag is interpreted as an unsigned 32-bit integer.


New in version 4.8.0.

The time the query was received


The number of seconds since the Unix epoch.


The number of microseconds, to be added to the number of seconds in DNSQuestion.queryTime.tv_sec to get a high accuracy timestamp.

It also supports the following methods:

:addAnswer(type, content[, ttl, name])

Add an answer to the record of type with content.

  • type (int) – The type of record to add, can be pdns.AAAA etc.
  • content (str) – The content of the record, will be parsed into wireformat based on the type
  • ttl (int) – The TTL in seconds for this record, defaults to 3600
  • name (DNSName) – The name of this record, defaults to DNSQuestion.qname
:addRecord(type, content, place[, ttl, name])

Add a record of type with content in section place.

  • type (int) – The type of record to add, can be pdns.AAAA etc.
  • content (str) – The content of the record, will be parsed into wireformat based on the type
  • place (int) – The section to place the record, see
  • ttl (int) – The TTL in seconds for this record, defaults to 3600
  • name (DNSName) – The name of this record, defaults to DNSQuestion.qname

Add policyTag tag to the list of policyTags.

Parameters:tag (str) – The tag to add
:getPolicyTags() → {str}

Get the current policy tags as a table of strings.


Set the policy tags to tags, overwriting any existing policy tags.

Parameters:tags ({str}) – The policy tags

Skip the filtering policy (for example RPZ) named policyname for this query. This is mostly useful in the prerpz hook.

Parameters:policyname (str) – The name of the policy to ignore.
:getDH() → DNSHeader

Returns the DNSHeader of the query or nil.

:getProxyProtocolValues() → {ProxyProtocolValue}

New in version 4.4.0: Get the Proxy Protocol Type-Length Values if any, as a table of ProxyProtocolValue objects.

:getRecords() → {DNSRecord}

Get a table of DNS Records in this DNS Question (or answer by now).


After your edits, update the answers of this question

Parameters:records ({DNSRecord}) – The records to put in the packet
:getEDNSFlag(name) → bool

Returns true if the EDNS flag with name is set in the query.

Parameters:name (string) – Name of the flag.
:getEDNSFlags() → {str}

Returns a list of strings with all the EDNS flag mnemonics in the query.

:getEDNSOption(num) → str

Get the EDNS Option with number num as a bytestring.

:getEDNSOptions() → {str: str}

Get a map of all EDNS Options

:getEDNSSubnet() → Netmask

Returns the Netmask specified in the EDNSSubnet option, or empty if there was none.

DNSHeader Object

The DNS header as returned by DNSQuestion:getDH() represents a header of a DNS message.

class DNSHeader
represents a header of a DNS message.
:getRD() → bool

The value of the Recursion Desired bit.

:getAA() → bool

The value of the Authoritative Answer bit.

:getAD() → bool

The value of the Authenticated Data bit.

:getCD() → bool

The value of the Checking Disabled bit.

:getTC() → bool

The value of the Truncation bit.

:getRCODE() → int

The Response Code of the query

:getOPCODE() → int

The Operation Code of the query

:getID() → int

The ID of the query

DNSRecord Object

See DNSRecord.

The EDNSOptionView Class

class EDNSOptionView

An object that represents the values of a single EDNS option

.. versionadded:: 4.2.0

The number of values for this EDNS option.

.. versionadded:: 4.2.0

Return a table of NULL-safe strings values for this EDNS option.


The size in bytes of the first value of this EDNS option.


Returns a NULL-safe string object of the first value of this EDNS option.

The ProxyProtocolValue Class

class ProxyProtocolValue

New in version 4.4.0.

An object that represents the value of a Proxy Protocol Type-Length Value

:getContent() → str

Returns a NULL-safe string object.

:getType() → int

Returns the type of this value.